Part IV Improvements

Sundry Provisions as to Improvements

88 Obligation on tenant for life and successors to maintain, insure, &c. C1

# What comes next are materials data, not part of the text
'''
# PmGe2Ir2Pt
Simulated powder diffraction line list, Cu Kα (λ = 1.5418 Å). Input: a crystal structure in Alexandria, relaxed with GGA-PBE.
No peak broadening, texture or thermal motion is included.

Structural model:
```
PmGe2Ir2Pt
1.0
4.6792 0.0000 0.0000
0.0000 4.6792 0.0000
0.0000 0.0000 5.5443
Pm Ge Ir Pt
1 2 2 1
Direct
0.0000 0.0000 0.0000 Pm
0.0000 0.5000 0.5000 Ge
0.5000 0.0000 0.5000 Ge
0.5000 0.5000 0.2338 Ir
0.5000 0.5000 0.7662 Ir
0.0000 0.0000 0.5000 Pt
```

Largest 12 diffraction maxima, low angle first, 2θ from 10° to 80°:
16.0°, intensity 10; 26.9°, intensity 76; 31.5°, intensity 7; 37.7°, intensity 100; 38.5°, intensity 71; 42.5°, intensity 5; 55.0°, intensity 68; 55.5°, intensity 25; 62.8°, intensity 15; 67.6°, intensity 7; 69.1°, intensity 17; 74.2°, intensity 8



# PmZnGe2Ir
Simulated powder diffraction line list, Cu Kα (λ = 1.5418 Å). Input: a crystal structure in Alexandria, relaxed with GGA-PBE.
No peak broadening, texture or thermal motion is included.

Structural model:
```
PmZnGe2Ir
1.0
-2.0607 2.0607 5.4507
2.0607 -2.0607 5.4507
2.0607 2.0607 -5.4507
Pm Zn Ge Ir
1 1 2 1
Direct
0.0000 0.0000 0.0000 Pm
0.2500 0.7500 0.5000 Zn
0.3840 0.3840 0.0000 Ge
0.6160 0.6160 0.0000 Ge
0.7500 0.2500 0.5000 Ir
```

Largest 12 diffraction maxima, low angle first, 2θ from 10° to 80°:
23.1°, intensity 23; 32.9°, intensity 56; 34.9°, intensity 100; 43.9°, intensity 46; 45.6°, intensity 18; 47.2°, intensity 24; 55.9°, intensity 30; 60.0°, intensity 15; 63.9°, intensity 17; 66.4°, intensity 16; 68.9°, intensity 9; 74.9°, intensity 22



# Pr3Ge8Ir3
Simulated powder diffraction line list, Cu Kα (λ = 1.5418 Å). Input: a crystal structure in Alexandria, relaxed with GGA-PBE.
No peak broadening, texture or thermal motion is included.

Structural model:
```
Pr3Ge8Ir3
1.0
-2.1189 5.3013 6.2828
2.1189 -5.3013 6.2828
2.1189 5.3013 -6.2828
Pr Ge Ir
3 8 3
Direct
0.0000 0.0000 0.0000 Pr
0.3158 0.3158 0.0000 Pr
0.6842 0.6842 0.0000 Pr
0.0267 0.6557 0.3710 Ge
0.1784 0.8807 0.2978 Ge
0.2848 0.6557 0.6290 Ge
0.4171 0.1193 0.2978 Ge
0.5829 0.8807 0.7022 Ge
0.7152 0.3443 0.3710 Ge
0.8216 0.1193 0.7022 Ge
0.9733 0.3443 0.6290 Ge
0.2927 0.5000 0.7927 Ir
0.5000 0.0000 0.5000 Ir
0.7073 0.5000 0.2073 Ir
```

Largest 12 diffraction maxima, low angle first, 2θ from 10° to 80°:
10.9°, intensity 28; 14.1°, intensity 33; 27.9°, intensity 21; 33.2°, intensity 19; 34.5°, intensity 100; 36.0°, intensity 26; 42.7°, intensity 31; 43.2°, intensity 33; 44.1°, intensity 27; 62.4°, intensity 22; 72.9°, intensity 19; 79.1°, intensity 17
'''


The tenant for life, and each of his successors in title having under the trust instrument a limited estate or interest only in the settled land, shall, during such period, if any, as the F1Secretary of State by certificate in any case prescribes, maintain and repair, at his own expense, every improvement executed under the foregoing provisions of this Act or the enactments replaced thereby, and where a building or work in its nature insurable against damage by fire is comprised in the improvement, shall at his own expense insure and keep insured the improvement in such amount, if any, as the F1Secretary of State by certificate in any case prescribes.


The tenant for life, or any of his successors as aforesaid, shall not cut down or knowingly permit to be cut down, except in proper thinning, any trees planted as an improvement under the foregoing provisions of this Act, or under the enactments replaced by those provisions.


The tenant for life, and each of his successors as aforesaid, shall from time to time, if required by the F2Secretary of State on or without the application of any person having under the trust instrument any estate or interest in the settled land in possession, remainder, or otherwise, report to the F2Secretary of State the state of every improvement executed under this Act, and the fact and particulars of fire insurance, if any.


The F3Secretary of State may vary any certificate made by him under this section in such manner or to such extent as circumstances appear to him to require, but not so as to increase the liabilities of the tenant for life, or any of his successors as aforesaid.


If the tenant for life, or any of his successors as aforesaid, fails in any respect to comply with the requisitions of this section, or does any act in contravention thereof, any person having, under the trust instrument, any estate or interest in the settled land in possession, remainder, or reversion, shall have a right of action, in respect of that default or act, against the tenant for life; and the estate of the tenant for life, after his death, shall be liable to make good to the persons entitled under the trust instrument any damages occasioned by that default or act.


Where in connexion with any improvement an improvement rentcharge, as hereinbefore defined, has been created, and that rentcharge has been redeemed out of capital money, this section shall apply to the improvement as if it had been an improvement executed under this Act.